Job:
It remains to say how many lines of the entries below hold the word "relaxed", as a bare number.

Material:
# 1
DFT (PBE-GGA) results for an optimized crystal structure of Ac6PrTl3.

Volume ... 41.07 Å³ per atom
Size of the total moment ... 0.00 μB/f.u.
Crystal system ... monoclinic

Cell lengths 5.671, 11.853, 13.128 Å; angles 111.42, 90.00, 90.00 degrees
Element x y z (fractional)
Ac: 0.750 0.367 0.976
Ac: 0.250 0.633 0.024
Ac: 0.750 0.620 0.544
Ac: 0.250 0.118 0.541
Ac: 0.750 0.779 0.871
Ac: 0.750 0.882 0.459
Ac: 0.250 0.042 0.812
Ac: 0.250 0.380 0.456
Ac: 0.750 0.395 0.696
Ac: 0.250 0.221 0.129
Ac: 0.750 0.958 0.188
Ac: 0.250 0.605 0.304
Tl: 0.250 0.909 0.013
Tl: 0.250 0.331 0.810
Tl: 0.750 0.091 0.987
Tl: 0.750 0.669 0.190
Tl: 0.750 0.195 0.421
Tl: 0.250 0.805 0.579
Pr: 0.250 0.615 0.733
Pr: 0.750 0.385 0.267

***

# 2
DFT (PBE-GGA) results for an optimized crystal structure of AcPr9Tl2.

Volume ... 33.88 Å³ per atom
Size of the total moment ... 0.00 μB/f.u.
Crystal system ... tetragonal

Cell lengths 5.095, 5.095, 15.657 Å; angles 90.00, 90.00, 90.00 degrees
Element x y z (fractional)
Pr: 0.000 0.500 0.500
Pr: 0.500 0.000 0.179
Pr: 0.500 0.500 0.342
Pr: 0.500 0.000 0.821
Pr: 0.500 0.000 0.500
Pr: 0.000 0.500 0.821
Pr: 0.000 0.500 0.179
Pr: 0.500 0.500 0.000
Pr: 0.500 0.500 0.658
Tl: 0.000 0.000 0.660
Tl: 0.000 0.000 0.340
Ac: 0.000 0.000 0.000

***

# 3
DFT (PBE-GGA) results for an optimized crystal structure of Ac4Pr3Tl5.

Volume ... 36.01 Å³ per atom
Size of the total moment ... 0.00 μB/f.u.
Crystal system ... monoclinic

Cell lengths 5.927, 9.376, 9.791 Å; angles 109.67, 72.38, 71.58 degrees
Element x y z (fractional)
Tl: 0.938 0.361 0.762
Tl: 0.356 0.094 0.195
Tl: 0.644 0.906 0.805
Tl: 0.500 0.500 0.500
Tl: 0.062 0.639 0.238
Ac: 0.752 0.085 0.411
Ac: 0.248 0.915 0.589
Ac: 0.177 0.744 0.902
Ac: 0.823 0.256 0.098
Pr: 0.412 0.307 0.869
Pr: 0.000 0.500 0.500
Pr: 0.588 0.693 0.131

***

# 4
DFT (PBE-GGA) results for an optimized crystal structure of AcPr5Tl2.

Volume ... 34.76 Å³ per atom
Size of the total moment ... 0.00 μB/f.u.
Crystal system ... orthorhombic

Cell lengths 3.855, 8.765, 8.765 Å; angles 78.30, 77.30, 77.30 degrees
Element x y z (fractional)
Pr: 0.000 0.500 0.500
Pr: 0.639 0.583 0.139
Pr: 0.639 0.139 0.583
Pr: 0.361 0.861 0.417
Pr: 0.361 0.417 0.861
Tl: 0.736 0.764 0.764
Tl: 0.264 0.236 0.236
Ac: 0.000 0.000 0.000

***

Number 1: ΔH_f (0 K) -70 kJ/mol of formula units, E -3.73 eV/atom. Number 2: ΔH_f (0 K) -137 kJ/mol of formula units, E -4.44 eV/atom. Number 3: ΔH_f (0 K) -260 kJ/mol of formula units, E -3.78 eV/atom. Number 4: ΔH_f (0 K) -110 kJ/mol of formula units, E -4.24 eV/atom.

~~~~~

A plane-wave DFT calculation with PBE was carried out for a relaxed GaCoMoW crystal.

Output
For the energy relative to the lowest polymorph listed for this composition, the calculation gives 0.0 kJ/mol of atoms. Its space-group type is F-43m, No. 216. The value obtained for the total energy is -33.6 eV per cell.

abc: 4.322 4.322 4.322
angles: 60.00 60.00 60.00
Fractional positions:
Ga (0.000, 0.000, 0.000)
Co (0.250, 0.250, 0.250)
Mo (0.750, 0.750, 0.750)
W (0.500, 0.500, 0.500)

A plane-wave DFT calculation with PBE was carried out for a relaxed YGaCoMo crystal.

Output
For the energy relative to the lowest polymorph listed for this composition, the calculation gives 0.0 kJ/mol of atoms. Its space-group type is F-43m, No. 216. The value obtained for the total energy is -26.5 eV per cell.

abc: 4.574 4.574 4.574
angles: 60.00 60.00 60.00
Fractional positions:
Y (0.000, 0.000, 0.000)
Ga (0.500, 0.500, 0.500)
Co (0.750, 0.750, 0.750)
Mo (0.250, 0.250, 0.250)

A plane-wave DFT calculation with PBE was carried out for a relaxed YGaCoMo crystal.

Output
For the energy relative to the lowest polymorph listed for this composition, the calculation gives 10.2 kJ/mol of atoms. Its space-group type is F-43m, No. 216. The value obtained for the total energy is -26.1 eV per cell.

abc: 4.610 4.610 4.610
angles: 60.00 60.00 60.00
Fractional positions:
Y (0.000, 0.000, 0.000)
Ga (0.250, 0.250, 0.250)
Co (0.500, 0.500, 0.500)

Solution:
3